Bonjour !
Je suis artby_lys_ mais vous pouvez tout aussi bien vous référer à moi par LYS
_What comes next are calculated crystals, not part of the entry_
____________
The following is a GGA-PBE calculation of a relaxed Ce2Pr4Sn3H2 crystal, from Alexandria via LeMat-Bulk.

Cell: 13.3531 13.3531 13.3531 Å, 158.93 158.93 29.97°
Closest atoms and distances in Å follow each position.
Atoms (fractional coordinates):
Ce 0.1991 0.1991 0.0000  1 H 2.47
Ce 0.8009 0.8009 0.0000  1 H 2.47
Pr 0.0834 0.5834 0.5000  2 H 2.50
Pr 0.4166 0.9166 0.5000  2 H 2.50
Pr 0.5834 0.0834 0.5000  2 H 2.50
Pr 0.9166 0.4166 0.5000  2 H 2.50
Sn 0.3252 0.3252 0.0000  5 Ce 3.25-3.51, 4 Pr 3.39
Sn 0.5000 0.5000 0.0000  8 Pr 3.25
Sn 0.6748 0.6748 0.0000  5 Ce 3.25-3.51, 4 Pr 3.39
H 0.1033 0.1033 0.0000  1 Ce 2.47, 4 Pr 2.50
H 0.8967 0.8967 0.0000  1 Ce 2.47, 4 Pr 2.50

Values from the calculation:
* electronic total energy: -4.999 eV per atom

---

The following is a GGA-PBE calculation of a relaxed CaY2VSi crystal, from Alexandria via LeMat-Bulk.

Cell: 5.3976 5.3976 5.0498 Å, 90.00 90.00 90.00°
Closest atoms and distances in Å follow each position.
Atoms (fractional coordinates):
Ca 0.0000 0.0000 0.0000  2 Si 2.52, 4 Y 2.70
Y 0.0000 0.5000 0.0000  2 Ca 2.70
Y 0.5000 0.0000 0.0000  2 Ca 2.70
V 0.5000 0.5000 0.5000  8 Y 3.70, 4 Si 3.82
Si 0.0000 0.0000 0.5000  2 Ca 2.52

Values from the calculation:
* formation energy without anion corrections: 8.142 eV/f.u.

---

The following is a GGA-PBE calculation of a relaxed AlInP2S crystal, from Alexandria via LeMat-Bulk.

Cell: 4.7889 4.7889 4.6037 Å, 90.00 90.00 90.00°
Closest atoms and distances in Å follow each position.
Atoms (fractional coordinates):
Al 0.0000 0.0000 0.0000  2 S 2.30, 4 P 2.39
In 0.5000 0.5000 0.5000  8 P 3.32, 4 S 3.39
P 0.0000 0.5000 0.0000  2 Al 2.39
P 0.5000 0.0000 0.0000  2 Al 2.39
S 0.0000 0.0000 0.5000  2 Al 2.30

Values from the calculation:
* formation energy without anion corrections: 1.754 eV/f.u.

---

The following is a GGA-PBE calculation of a relaxed Pm4Tl2Hg crystal, from Alexandria via LeMat-Bulk.

Cell: 6.6005 6.6005 6.6005 Å, 110.02 110.02 108.38°
Closest atoms and distances in Å follow each position.
Atoms (fractional coordinates):
Pm 0.0000 0.0000 0.5000  2 Hg 3.30, 4 Tl 3.30
Pm 0.0000 0.5000 0.0000  2 Hg 3.30, 4 Tl 3.30
Pm 0.5000 0.0000 0.0000  2 Hg 3.30, 4 Tl 3.30
Pm 0.5000 0.5000 0.5000  2 Hg 3.30, 4 Tl 3.30
Tl 0.0000 0.5000 0.5000  8 Pm 3.30
Tl 0.5000 0.0000 0.5000  8 Pm 3.30
Hg 0.0000 0.0000 0.0000  8 Pm 3.30

Values from the calculation:
* E_form: -0.285 eV per atom

---

Number 1: Fermi-level density of states 22.59 states/eV/f.u.. Number 2: Fermi-level density of states 8.39 states/eV/f.u.. Number 3: Fermi-level density of states 4.99 states/eV/f.u.. Number 4: Fermi-level density of states 6.92 states/eV/f.u..

=====

Entry 1:
Compound: Be2AlAu4
Source: Alexandria
Functional: GGA-PBE
Structure: relaxed

magnetic moment	0.000	μB per formula unit
Fermi-level density of states	2.76	states/eV/f.u.
DFT formation energy	-0.148	eV per atom

a b c (Å): 6.1341 6.1341 5.8225
angles (deg): 90.00 90.00 90.00
Space group I4/mmm (No. 139)
Unique sites:
____________
Mon univers va peut-être vous sembler un peu naïf et bon enfant, mais je ne m’en cache pas, j’aime élaborer des esthétiques douces avec un grain de fantaisie qui donne le sourire ! Passionnée depuis mon jeune âge par les animations japonaises, l’univers des Ghibli et le monde fantastique d’Alice au pays des merveilles, ma pratique artistique se rapproche aujourd’hui du style manga. Je me plais à développer cette pratique en proposant des illustrations, originales et digitales, de franchise que j’apprécie tout comme mes personnages originaux.😉
[Inserted here: crystal structures]
........
(1)
Material: LiInFe
Method: DFT, meta-GGA SCAN
State: single point on PBEsol structure

Calculated values
Space-group type: P3m1
Formation enthalpy at 0 K in meV/atom: 269

Cell: 2.8949 2.8949 6.8737 Å, 90.00 90.00 120.00°
Last column: nearest neighbours and their distance in Å.
Fractional coordinates of all 3 atoms:
Fe1 0.0000 0.0000 0.0039  3 Li 2.73, 3 In 2.79, 6 Fe 2.89
Li1 0.6667 0.3333 0.3170  3 Fe 2.73, 6 Li 2.89, 3 In 3.00
In1 0.3333 0.6667 0.6791  3 Fe 2.79, 6 In 2.89, 3 Li 3.00

=====

(2)
Material: Ba2P2O7
Method: DFT, meta-GGA SCAN
State: single point on PBEsol structure

Calculated values
Space-group type: Pnma
Uncorrected formation energy in meV/atom: -3059

Cell: 5.5988 9.2995 13.8508 Å, 90.00 90.00 90.00°
Last column: nearest neighbours and their distance in Å.
Fractional coordinates of all 44 atoms:
O1 0.2500 0.8840 0.0778  2 P 1.61-1.62
O2 0.2500 0.2262 0.5678  1 P 1.53
O3 0.2500 0.6155 0.3308  1 P 1.52
O4 0.4763 0.4038 0.2620  1 P 1.53
O5 0.5237 0.0962 0.7620  1 P 1.53
O6 0.7500 0.1160 0.9222  2 P 1.61-1.62
O7 0.0237 0.4038 0.2620  1 P 1.53
O8 0.2500 0.1155 0.1692  1 P 1.52
O9 0.0245 0.6438 0.0810  1 P 1.54
O10 0.4763 0.9038 0.2380  1 P 1.53
O11 0.9763 0.5962 0.7380  1 P 1.53
O12 0.4755 0.1438 0.4190  1 P 1.54
O13 0.0237 0.9038 0.2380  1 P 1.53
O14 0.5245 0.8562 0.5810  1 P 1.54
O15 0.4755 0.6438 0.0810  1 P 1.54
O16 0.7500 0.3845 0.6692  1 P 1.52
O17 0.7500 0.7738 0.4322  1 P 1.53
O18 0.7500 0.6160 0.5778  2 P 1.61-1.62
O19 0.2500 0.3840 0.4222  2 P 1.61-1.62
O20 0.9755 0.8562 0.5810  1 P 1.54
O21 0.7500 0.2738 0.0678  1 P 1.53
O22 0.9755 0.3562 0.9190  1 P 1.54
O23 0.9763 0.0962 0.7620  1 P 1.53
O24 0.7500 0.8845 0.8308  1 P 1.52
O25 0.2500 0.7262 0.9322  1 P 1.53
O26 0.5245 0.3562 0.9190  1 P 1.54
O27 0.0245 0.1438 0.4190  1 P 1.54
O28 0.5237 0.5962 0.7380  1 P 1.53
P1 0.2500 0.9535 0.1853  4 O 1.52-1.62
P2 0.7500 0.7815 0.5426  4 O 1.53-1.61
P3 0.7500 0.0465 0.8147  4 O 1.52-1.62
P4 0.2500 0.2185 0.4574  4 O 1.53-1.61
P5 0.2500 0.4535 0.3147  4 O 1.52-1.62
P6 0.7500 0.5465 0.6853  4 O 1.52-1.62
P7 0.2500 0.7185 0.0426  4 O 1.53-1.61
P8 0.7500 0.2815 0.9574  4 O 1.53-1.61
Ba1 0.2500 0.8409 0.7450  9 O 2.75-3.07
Ba2 0.7500 0.1373 0.5825  7 O 2.59-2.90
Ba3 0.2500 0.8627 0.4175  7 O 2.59-2.90
Ba4 0.7500 0.6373 0.9175  7 O 2.59-2.90
Ba5 0.2500 0.3409 0.7550  9 O 2.75-3.07
Ba6 0.7500 0.1591 0.2550  9 O 2.75-3.07
Ba7 0.7500 0.6591 0.2450  9 O 2.75-3.07
Ba8 0.2500 0.3627 0.0825  7 O 2.59-2.90

=====

(3)
Material: Zr2TlPt2
Method: DFT, meta-GGA SCAN
State: single point on PBEsol structure

Calculated values
Space-group type: I4/mmm
Formation enthalpy at 0 K in meV/atom: -792

Cell: 4.6252 4.6252 6.0713 Å, 112.39 112.39 90.00°
Last column: nearest neighbours and their distance in Å.
Fractional coordinates of all 5 atoms:
Tl1 0.0000 0.0000 0.0000  8 Zr 3.45, 10 Pt 3.51-3.85
Pt1 0.6238 0.6238 0.2475  1 Pt 2.53, 4 Zr 2.65
Pt2 0.3762 0.3762 0.7525  1 Pt 2.53, 4 Zr 2.65
Zr1 0.7500 0.2500 0.5000  4 Pt 2.65
........

Mon travail est valorisé par le fait main, notamment au travers des stickers que je propose. En effet, il représente une majeure partie de mon travail, mais aussi celle que je préfère explorer. J’apprécie de donner un certain détail à chacun des stickers afin d’en proposer plusieurs séries uniques, parmi elles, je note les « Genshin Boba » ; un mixte entre les personnages de Genshin Impact transformés en Bubble Tea ! J’espère vous faire voyager dans un monde doux et coloré.
[What comes next are data records, not part of the entry]
- - -
[1]
The following is a DFT calculation (PBE-GGA) of a geometry-optimized Ti2BC structure.

Values from the calculation:
The value obtained for the density of states at the Fermi level is 1.4 states/eV/f.u. The value obtained for the total energy is -0.32188 hartree per atom. Its formation energy is -3.344 eV per formula unit. The energy above the most stable polymorph in this dataset is 0.000 eV/atom. The calculation puts the mass density at 4.644 g/cm³.

Cell lengths 8.9272, 8.9272, 3.0456 Å; angles 90.00, 90.00, 159.55 degrees
Last column: nearest neighbours and their distance in Å.
Element x y z (fractional)
Ti: 0.0702 0.9298 0.7500  1 C 2.08, 6 B 2.32-2.33
Ti: 0.3087 0.6913 0.7500  5 C 2.11-2.20
Ti: 0.6913 0.3087 0.2500  5 C 2.11-2.20
Ti: 0.9298 0.0702 0.2500  1 C 2.08, 6 B 2.32-2.33
B: 0.4730 0.5270 0.7500  2 B 1.80
B: 0.5270 0.4730 0.2500  2 B 1.80
C: 0.1889 0.8111 0.7500  6 Ti 2.08-2.20
C: 0.8111 0.1889 0.2500  6 Ti 2.08-2.20

[2]
The following is a DFT calculation (PBE-GGA) of a geometry-optimized Ti6BC2 structure.

Values from the calculation:
The value obtained for the density of states at the Fermi level is 5.3 states/eV/f.u. The value obtained for the total energy is -0.31467 hartree per atom. Its formation energy is -4.568 eV per formula unit. The calculation puts the mass density at 4.326 g/cm³.

Cell lengths 5.0762, 5.0762, 9.5951 Å; angles 90.00, 90.00, 90.00 degrees
Last column: nearest neighbours and their distance in Å.
Element x y z (fractional)
Ti: 0.1958 0.1958 0.0000  2 C 2.12, 1 B 2.18
Ti: 0.2030 0.2030 0.3264  2 C 2.13, 1 B 2.21
Ti: 0.2030 0.2030 0.6736  2 C 2.13, 1 B 2.21
Ti: 0.2970 0.7030 0.1736  2 C 2.13, 1 B 2.21
Ti: 0.2970 0.7030 0.8264  2 C 2.13, 1 B 2.21
Ti: 0.3042 0.6958 0.5000  2 C 2.12, 1 B 2.18
Ti: 0.6958 0.3042 0.5000  2 C 2.12, 1 B 2.18
Ti: 0.7030 0.2970 0.1736  2 C 2.13, 1 B 2.21
Ti: 0.7030 0.2970 0.8264  2 C 2.13, 1 B 2.21
Ti: 0.7970 0.7970 0.3264  2 C 2.13, 1 B 2.21
Ti: 0.7970 0.7970 0.6736  2 C 2.13, 1 B 2.21
Ti: 0.8042 0.8042 0.0000  2 C 2.12, 1 B 2.18
B: 0.0000 0.0000 0.5000  6 Ti 2.18-2.21
B: 0.5000 0.5000 0.0000  6 Ti 2.18-2.21
C: 0.0000 0.0000 0.1650  6 Ti 2.12-2.13
C: 0.0000 0.0000 0.8350  6 Ti 2.12-2.13
C: 0.5000 0.5000 0.3350  6 Ti 2.12-2.13
C: 0.5000 0.5000 0.6650  6 Ti 2.12-2.13

[3]
The following is a DFT calculation (PBE-GGA) of a geometry-optimized Ti4BC2 structure.

Values from the calculation:
The value obtained for the density of states at the Fermi level is 3.5 states/eV/f.u. The value obtained for the total energy is -0.32355 hartree per atom. Its formation energy is -4.925 eV per formula unit. The energy above the most stable polymorph in this dataset is 0.000 eV/atom. The calculation puts the mass density at 4.616 g/cm³.

Cell lengths 5.3151, 5.3151, 10.4051 Å; angles 90.00, 90.00, 146.37 degrees
Last column: nearest neighbours and their distance in Å.
Element x y z (fractional)
Ti: 0.0000 0.0000 0.0000  4 C 2.17
Ti: 0.0000 0.0000 0.5000  4 C 2.17
- - -

ENG : “Hello!
I am artby_lys_ but you can also refer to me by LYS 🙂 My universe may seem a little naive and good-natured, but I do not hide it, I like to develop soft aesthetics with a grain of fantasy that gives a smile! Passionate since my youth by Japanese animations, the universe of Ghibli and the fantastic world of Alice in Wonderland, my artistic practice is now closer to the manga style. I like to develop this practice by offering original and digital illustrations that I appreciate just like my original characters.😉My work is valued by handmade, especially through the stickers I offer. Indeed, it represents a major part of my work, but also the one I prefer to explore. I like to give a certain detail to each of the stickers to propose several unique series, among them, I note the «Genshin Boba»; a mix between the characters of Genshin Impact transformed into Bubble Tea! I hope to make you travel in a soft and colorful world. ✨"
I am artby_lys_ but you can also refer to me by LYS 🙂 My universe may seem a little naive and good-natured, but I do not hide it, I like to develop soft aesthetics with a grain of fantasy that gives a smile! Passionate since my youth by Japanese animations, the universe of Ghibli and the fantastic world of Alice in Wonderland, my artistic practice is now closer to the manga style. I like to develop this practice by offering original and digital illustrations that I appreciate just like my original characters.😉My work is valued by handmade, especially through the stickers I offer. Indeed, it represents a major part of my work, but also the one I prefer to explore. I like to give a certain detail to each of the stickers to propose several unique series, among them, I note the «Genshin Boba»; a mix between the characters of Genshin Impact transformed into Bubble Tea! I hope to make you travel in a soft and colorful world. ✨"